08-Sep-2023 Shocking incidents of violence and assault targeting Dalits rock Uttar Pradesh Two disturbing cases of violence against Dalits surface - one involving a deadly beating over unpaid wages, and another case of rape, extortion, and forced consumption of beef
08-Sep-2023 पूरे भारत में नफ़रती भाषण और सांप्रदायिक हिंसा की घटनाएं जारी अनेक राज्यों में मुसलमानों और ईसाईयों के ख़िलाफ़ नफ़रती बयानों और सांप्रदायिक हिंसा की घटनाएं जारी हैं. ऐसे नफ़रती बयानों के ख़िलाफ़ कोई ठोस कारवाई नहीं की गई है.
08-Sep-2023 VHP, BJP leaders make inflammatory statements against minorities Chhattisgarh, Haryana, Madhya Pradesh and Maharashtra witness hate speech against minorities filled with fake news, myths and anti-minority rhetoric.
07-Sep-2023 तेलंगाना- दलित युवकों को बकरी चुराने के आरोप में प्रताड़ित किया गया एक अन्य ऐसी घटना सामने आई है जिसमें एक दलित युवक को प्रताड़ित किया गया है. इस मामले में अब तक 4 लोग गिरफ़्तार हो चुके हैं.
06-Sep-2023 उत्तराखंड, कर्नाटक, दिल्ली और उत्तर प्रदेश में हेट स्पीच का दौर CJP ने देश भर में नफ़रती हिंसा की हालिया घटनाओं का ब्यौरा पेश किया है.
06-Sep-2023 Throughout India, hate speech and communal incidents continue Communal incidents in multiple states against Muslims and Christians seemingly become routine as hate speeches continue to be given with little action against them.
05-Sep-2023 Telangana: Dalit youth hung upside down and tortured for alleged goat theft Another instance of Dalit youth being beaten and tortured comes to light. Four people have been arrested in this case
04-Sep-2023 Hate crimes surge in Uttarakhand, Karnataka, Delhi, and Uttar Pradesh CJP brings to you a breakdown of the recent hate incidents across the nation
30-Aug-2023 From Maharashtra to Tamil Nadu, violence against Dalits sees no respite Dalit boy and grandmother assaulted in Nanguneveli, Karur, Dalit women attacked in Satara, two more Dalits dead in Rajasthan, as violence against Dalits continues.
28-Aug-2023 बिना रोक-टोक दमन से दिल्ली फ़ैला नफ़रती बयानों का सिलसिला पूरे भारत में मुसलमानों के ख़िलाफ़ अपमानजनक और अमानवीय नफ़रती बयानों की हवा तेज़ी से फैल रही है.
25-Aug-2023 Unchecked Hate Speech rages from Daman to Delhi Multiple incidents of derogatory and dehumanising hate speech towards Muslims reported across India.
24-Aug-2023 West to north India, the hate-mongering continues unabated Hate speeches and provocative declarations by Hindutva leaders spread communal tensions, as anti-Muslim conspiracy theories and incendiary remarks are repeated in various speeches
24-Aug-2023 Rising number of vigilante attacks on minorities raises alarm, cause physical harm From Assam to Haryana, incidents of hate against minorities flood the news
21-Aug-2023 Muslim minor arrested After Mob assault at Mumbai’s Bandra starion The boy was caught on camera being beaten by a Hindutva mob for allegedly kidnapping a girl
17-Aug-2023 Hate-fuelled events mar Independence Day celebrations across India Hate speech targeting Muslims mars celebrations, violent sloganeering at right-wing rallies overshadow unity and heritage.
Someone pasted data records at this point
/*
This entry pairs a crystal structure of AcHo4Er7 with its computed powder X-ray diffraction pattern. Radiation: Cu Kα. Structure: the GGA-PBE geometry in Alexandria.
No peak broadening, texture or thermal motion is included.

Most intense lines, 10 to 90 degrees two-theta, low angle first:
| d_spacing | 2θ (°) | intensity |
| --- | --- | --- |
| 3.136 | 28.46 | 154 |
| 2.825 | 31.68 | 243 |
| 2.739 | 32.69 | 1000 |
| 2.098 | 43.13 | 156 |
| 1.614 | 57.07 | 207 |
| 1.522 | 60.88 | 151 |

Atomic structure:
```
data_AcHo4Er7
_chemical_formula_sum 'Ac2 Ho8 Er14'
_symmetry_space_group_name_H-M 'P 1'
_symmetry_Int_Tables_number 1
_cell_length_a 5.6491
_cell_length_b 21.7545
_cell_length_c 6.2484
_cell_angle_alpha 90.00
_cell_angle_beta 90.00
_cell_angle_gamma 90.00
loop_
_symmetry_equiv_pos_as_xyz
'x,y,z'
loop_
_atom_site_label
_atom_site_fract_x
_atom_site_fract_y
_atom_site_fract_z
Ac1 0.2500 0.2500 0.1719
Ac2 0.7500 0.7500 0.8281
Ho1 0.2500 0.0810 0.1687
Ho2 0.2500 0.4190 0.1687
Ho3 0.2500 0.5822 0.1668
Ho4 0.2500 0.9178 0.1668
Ho5 0.7500 0.0822 0.8332
Ho6 0.7500 0.4178 0.8332
Ho7 0.7500 0.5810 0.8313
Ho8 0.7500 0.9190 0.8313
Er1 0.2500 0.0000 0.6664
Er2 0.2500 0.1636 0.6686
Er3 0.2500 0.3364 0.6686
Er4 0.2500 0.5000 0.6664
Er5 0.2500 0.6633 0.6634
Er6 0.2500 0.7500 0.1748
Er7 0.2500 0.8367 0.6634
Er8 0.7500 0.0000 0.3336
Er9 0.7500 0.1633 0.3366
Er10 0.7500 0.2500 0.8252
Er11 0.7500 0.3367 0.3366
Er12 0.7500 0.5000 0.3336
Er13 0.7500 0.6636 0.3314
Er14 0.7500 0.8364 0.3314
```

=====

This entry pairs a crystal structure of Ac2Ho6Er5 with its computed powder X-ray diffraction pattern. Radiation: Cu Kα. Structure: the GGA-PBE geometry in Alexandria.
No peak broadening, texture or thermal motion is included.

Most intense lines, 10 to 90 degrees two-theta, low angle first:
| d_spacing | 2θ (°) | intensity |
| --- | --- | --- |
| 3.032 | 29.46 | 1000 |
| 2.889 | 30.95 | 478 |
| 2.879 | 31.06 | 597 |
| 2.826 | 31.66 | 746 |
| 2.733 | 32.77 | 553 |
| 2.676 | 33.49 | 468 |

Atomic structure:
```
data_Ac2Ho6Er5
_chemical_formula_sum 'Ac4 Ho12 Er10'
_symmetry_space_group_name_H-M 'P 1'
_symmetry_Int_Tables_number 1
_cell_length_a 10.2953
_cell_length_b 15.0508
_cell_length_c 5.6528
_cell_angle_alpha 90.00
_cell_angle_beta 90.00
_cell_angle_gamma 90.00
loop_
_symmetry_equiv_pos_as_xyz
'x,y,z'
loop_
_atom_site_label
_atom_site_fract_x
_atom_site_fract_y
_atom_site_fract_z
Ac1 0.1506 0.2186 0.0000
Ac2 0.3494 0.7186 0.0000
Ac3 0.6506 0.2814 0.0000
Ac4 0.8494 0.7814 0.0000
Ho1 0.0535 0.6015 0.0000
Ho2 0.1786 0.9532 0.0000
Ho3 0.2339 0.6032 0.5000
Ho4 0.2661 0.1032 0.5000
Ho5 0.3214 0.4532 0.0000
Ho6 0.4465 0.1015 0.0000
Ho7 0.5535 0.8985 0.0000
Ho8 0.6786 0.5468 0.0000
Ho9 0.7339 0.8968 0.5000
Ho10 0.7661 0.3968 0.5000
Ho11 0.8214 0.0468 0.0000
Ho12 0.9465 0.3985 0.0000
Er1 0.0000 0.0000 0.5000
Er2 0.0718 0.7870 0.5000
Er3 0.1278 0.3960 0.5000
Er4 0.3722 0.8960 0.5000
Er5 0.4282 0.2870 0.5000
Er6 0.5000 0.5000 0.5000
Er7 0.5718 0.7130 0.5000
*/
11-Aug-2023 Were some Hindu temples originally Buddhist structures? It has been noted by historians that several Buddhist temples were destroyed to have Hindu temples built on them.